**Exercise**
Next, duplicate every line underneath that contains the word "all".
**Contents**
- - -
YZr3Cr: optimized geometry, PBE.

Lattice parameters (Å, degrees): 4.973 4.973 4.973 90.00 90.00 90.00
Positions (direct):
Y 0.000 0.000 0.000
Zr 0.000 0.500 0.500
Zr 0.500 0.000 0.500
Zr 0.500 0.500 0.000
Cr 0.500 0.500 0.500

Summary:
E above lowest polymorph, meV per atom: 0

---

YZrCr2: optimized geometry, PBE.

Lattice parameters (Å, degrees): 3.207 4.332 6.044 90.00 90.00 90.00
Positions (direct):
Y 0.000 0.000 0.000
Zr 0.500 0.500 0.330
Cr 0.000 0.000 0.502
Cr 0.500 0.500 0.779

Summary:
E above lowest polymorph, meV per atom: 324

---

YZr2Cr: optimized geometry, PBE.

Lattice parameters (Å, degrees): 5.922 5.922 5.922 146.52 128.03 63.25
Positions (direct):
Y 0.000 0.000 0.000
Zr 0.291 0.791 0.500
Zr 0.709 0.209 0.500
Cr 0.500 0.500 0.000

Summary:
E above lowest polymorph, meV per atom: 11

---

YZr2Cr: optimized geometry, PBE.

Lattice parameters (Å, degrees): 3.281 3.281 8.325 90.00 90.00 90.00
Positions (direct):
Y 0.000 0.000 0.000
Zr 0.500 0.500 0.315
Zr 0.500 0.500 0.685
Cr 0.000 0.000 0.500

Summary:
E above lowest polymorph, meV per atom: 3

---

YZr2Cr: optimized geometry, PBE.

Lattice parameters (Å, degrees): 9.690 9.690 9.690 19.60 19.60 19.60
Positions (direct):
Y 0.000 0.000 0.000
Zr 0.232 0.232 0.232
Zr 0.768 0.768 0.768
Cr 0.500 0.500 0.500

Summary:
E above lowest polymorph, meV per atom: 135

---

YZrCr3: optimized geometry, PBE.

Lattice parameters (Å, degrees): 4.819 4.819 4.819 90.00 90.00 90.00
Positions (direct):
Y 0.000 0.000 0.000
Zr 0.500 0.500 0.500
Cr 0.000 0.500 0.500
Cr 0.500 0.000 0.500
Cr 0.500 0.500 0.000

Summary:
E above lowest polymorph, meV per atom: 0

---

YZr2Cr: optimized geometry, PBE.

Lattice parameters (Å, degrees): 3.422 3.422 7.661 90.00 90.00 90.00
Positions (direct):
Y 0.000 0.000 0.000
Zr 0.000 0.000 0.571
Zr 0.500 0.500 0.315
Cr 0.500 0.500 0.751

Summary:
E above lowest polymorph, meV per atom: 29

---

YZrCr2: optimized geometry, PBE.

Lattice parameters (Å, degrees): 4.801 4.801 4.801 60.00 60.00 60.00
Positions (direct):
Y 0.000 0.000 0.000
Zr 0.500 0.500 0.500
Cr 0.250 0.250 0.250
Cr 0.750 0.750 0.750

Summary:
E above lowest polymorph, meV per atom: 104

---

YZrCr4: optimized geometry, PBE.

Lattice parameters (Å, degrees): 5.128 5.128 5.128 60.00 60.00 60.00
Positions (direct):
Y 0.000 0.000 0.000
Zr 0.750 0.750 0.750
Cr 0.375 0.375 0.375
Cr 0.375 0.375 0.875
Cr 0.375 0.875 0.375
Cr 0.875 0.375 0.375

Summary:
Raw total energy, eV per atom: -8.73

---

YZrCr2: optimized geometry, PBE.

Lattice parameters (Å, degrees): 4.848 4.848 5.857 99.80 99.80 38.48
Positions (direct):
Y 0.000 0.000 0.000
Zr 0.500 0.500 0.500
Cr 0.243 0.243 0.707
Cr 0.757 0.757 0.293

Summary:
E above lowest polymorph, meV per atom: 343

---

YZr2Cr: optimized geometry, PBE.

Lattice parameters (Å, degrees): 10.150 10.150 10.150 18.49 18.49 18.49
Positions (direct):
Y 0.000 0.000 0.000
Zr 0.514 0.514 0.514
Zr 0.761 0.761 0.761
Cr 0.252 0.252 0.252

Summary:
E above lowest polymorph, meV per atom: 165

---

ZnCr3: optimized geometry, PBE.

Lattice parameters (Å, degrees): 4.135 4.135 3.007 90.00 90.00 90.00
Positions (direct):
Zn 0.000 0.000 0.000
Cr 0.000 0.500 0.500
Cr 0.500 0.000 0.500
Cr 0.500 0.500 0.000

Summary:
Raw total energy, eV per atom: -7.30

---

Computed values of size of the total moment (unit: μB/atom) for the preceding records, in sequence: 0.000, 1.485, 0.390, 0.212, 0.000, 1.778, 0.506, 1.213, 0.000, 1.391, 0.711, 0.649.


Below is a relaxed CeGePb2S5 crystal, with properties calculated at the GGA-PBE level.

Output
Total energy in eV per atom: -5.11
Uncorrected formation energy in kcal/mol of atoms: -18.84

Cell: 9.052 9.052 13.385 Å, 90.00 90.00 153.60°
Fractional coordinates of all 18 atoms:
Ce 0.221 0.779 0.500
Ce 0.779 0.221 0.000
Ge 0.451 0.549 0.928
Ge 0.549 0.451 0.428
Pb 0.103 0.897 0.121
Pb 0.110 0.890 0.752
Pb 0.890 0.110 0.252
Pb 0.897 0.103 0.621
S 0.067 0.933 0.541
S 0.267 0.733 0.136
S 0.320 0.680 0.873
S 0.374 0.626 0.478
S 0.497 0.503 0.245
- - -
**Reply**
Fractional coordinates of all 18 atoms: